The Effect of Oral Premed on IANB Efficacy

Here the piece breaks off for materials data =
[1]
{"formula": "LiMgTe2I", "functional": "PBE-GGA", "state": "relaxed", "total_magnetization_mub_per_cell": 0.0, "raw_formation_energy_kj_per_mol_fu": -119, "de_polymorph_kj_per_mol_fu": 0, "lattice": [[-0.685, 5.269, -1.365], [-2.501, -1.527, -4.638], [-5.296, 0.048, 2.841]], "species": ["I", "Mg", "Te", "Te", "Li"], "fractional_positions": [[0.000, 0.000, 0.500], [0.000, 0.000, 0.000], [0.000, 0.500, 0.000], [0.500, 0.000, 0.000], [0.500, 0.500, 0.500]]}


[2]
{"formula": "LiMgTeI2", "functional": "PBE-GGA", "state": "relaxed", "total_magnetization_mub_per_cell": 0.0, "raw_formation_energy_kj_per_mol_fu": -227, "de_polymorph_kj_per_mol_fu": 0, "lattice": [[5.822, 0.000, 0.000], [0.000, 5.822, 0.000], [0.000, 0.000, 5.549]], "species": ["I", "I", "Mg", "Te", "Li"], "fractional_positions": [[0.000, 0.500, 0.000], [0.500, 0.000, 0.000], [0.000, 0.000, 0.000], [0.000, 0.000, 0.500], [0.500, 0.500, 0.500]]}


[3]
{"formula": "LiMgTe2I", "functional": "PBE-GGA", "state": "relaxed", "total_magnetization_mub_per_cell": 0.0, "raw_formation_energy_kj_per_mol_fu": -25, "de_polymorph_kj_per_mol_fu": 94, "lattice": [[4.877, 0.000, 0.000], [0.000, 4.877, 0.000], [0.000, 0.000, 6.631]], "species": ["I", "Mg", "Te", "Te", "Li"], "fractional_positions": [[0.000, 0.000, 0.500], [0.500, 0.500, 0.500], [0.000, 0.500, 0.000], [0.500, 0.000, 0.000], [0.000, 0.000, 0.000]]}


[4]
{"formula": "Li2MgTeI", "functional": "PBE-GGA", "state": "relaxed", "total_magnetization_mub_per_cell": 0.0, "raw_formation_energy_kj_per_mol_fu": -38, "lattice": [[5.140, 0.000, 0.000], [0.000, 6.358, 0.000], [0.000, 0.000, 5.140]], "species": ["I", "Mg", "Te", "Li", "Li"], "fractional_positions": [[0.000, 0.000, 0.000], [0.500, 0.500, 0.500], [0.000, 0.500, 0.000], [0.000, 0.000, 0.500], [0.500, 0.000, 0.000]]}


[5]
{"formula": "Li3MgTl3I8", "functional": "PBE-GGA", "state": "relaxed", "total_magnetization_mub_per_cell": 0.0, "raw_formation_energy_kj_per_mol_fu": -1341, "lattice": [[-1.190, 8.749, -0.226], [-3.719, -4.798, 6.428], [9.509, 1.303, 0.394]], "species": ["Li", "Li", "Li", "Mg", "Tl", "Tl", "Tl", "I", "I", "I", "I", "I", "I", "I", "I"], "fractional_positions": [[0.500, 0.000, 0.500], [0.500, 0.500, 0.500], [0.000, 0.500, 0.500], [0.000, 0.000, 0.500], [0.000, 0.000, 0.000], [0.000, 0.500, 0.000], [0.500, 0.500, 0.000], [0.265, 0.531, 0.297], [0.735, 0.469, 0.703], [0.771, 0.541, 0.300], [0.229, 0.459, 0.700], [0.770, 0.029, 0.300], [0.230, 0.971, 0.700], [0.259, 0.029, 0.300], [0.741, 0.971, 0.700]]}


[6]
{"formula": "LiMgW2I", "functional": "PBE-GGA", "state": "relaxed", "total_magnetization_mub_per_cell": 0.5, "raw_formation_energy_kj_per_mol_fu": 1054, "de_polymorph_kj_per_mol_fu": 203, "lattice": [[4.943, 0.000, 0.000], [0.000, 5.354, 0.000], [0.000, 0.000, 4.943]], "species": ["I", "Mg", "W", "W", "Li"], "fractional_positions": [[0.000, 0.000, 0.000], [0.000, 0.500, 0.000], [0.000, 0.000, 0.500], [0.500, 0.000, 0.000], [0.500, 0.500, 0.500]]}


[7]

Successful management of pain is a critical aspect of dentistry. This becomes a great challenge when patients present to clinic with a painful endodontic emergency. Management of acute symptoms of irreversible pulpitis can be difficult to manage especially in the posterior lower quadrants. As IANB success in patients with irreversible pulpitis can be as low as 30%.  The…

Pediatric Pulp Therapies

Pediatric endodontics can be confusing and challenging. Choosing the right treatment plan is dependent on a multitude of factors: primary vs. permanent tooth, pulpal state, open vs. closed apex, estimated retention time for the tooth, and a variety of materials to use. To make things just a bit tougher, you’re usually dealing with a patient with limited cooperation and…

How To Manage: Autotransplatation Of Teeth Part 1

The following presentation is the first part of our case series on the management of ectopic eruption of teeth. Part 1  As we’ve discovered in our previous article, autotransplantation can be a viable means of replacing teeth. This procedure, however, requires a very technique sensitive protocol and  management by means of multidisciplinary team and implementation of…

External Inflammatory Root Resorption

Bioactive bioceramics are materials that react with the tissue components. The “bioactivity” of the materials refers to its ability to create a hydroxyapatite layer when in contact with tissue fluid rich in calcium and phosphate. This property allows the material to be highly biocompatible, osteoinductive, osteoconductive, and contributes to its sealing ability. These materials also…

How To Treat: Fusion of Maxillary Anterior Teeth// Macrodontia – PART 1

The following presentation is part of three case series on management of macrodontia of fused anterior maxillary incisors. Tune in each week as we discuss each unique scenario. Part 1  Macrodontia of anterior teeth may be an isolated condition or occur as a result of fusion, gemination, or concorcense of teeth. Just to refresh: Fusion of…

Managing Pulp Exposures In Mature Teeth

The primary goal of any dental treatment is to preserve the pulp or reverse any damage to it. In mature teeth, when there is a carious pulp exposure, the usual treatment is pulpectomy or root canal therapy. The consensus is that pulp capping (most often performed using calcium hydroxide), whether direct or indirect, doesn’t lead…

Autotransplantation of a tooth in a site with a periradicular lesion.

Case Presentation A 19-year-old man presented to the dental office with pain and swelling around tooth 4.6. The tooth had a history of an initial root canal treatment, 5 years ago, due to a diagnosis of symptomatic irreversible pulpitis. The tooth was retreated two times by endodontists, due to continued symptomatic apical periodontitis. Intraoral examination revealed a…